**Listing**
........
Below is a relaxed structure of NaInGe, with properties calculated at the PBE level.

Formation energy, meV per atom: 5.8
Crystal system: orthorhombic
DFT total energy, eV per atom: -2.886
Magnetization, μB per formula unit: 0.000
DOS(E_F), states/eV per cell: 3.4
Symmetry: Pnma, No. 62

Cell lengths 11.032, 6.773, 4.215 Å; angles 90.00, 90.00, 90.00 degrees
Positions (direct):
Na (0.203, 0.250, 0.023)
Na (0.297, 0.750, 0.523)
Na (0.703, 0.250, 0.477)
Na (0.797, 0.750, 0.977)
In (0.000, 0.000, 0.500)
In (0.000, 0.500, 0.500)
In (0.500, 0.000, 0.000)
In (0.500, 0.500, 0.000)
Ge (0.090, 0.750, 0.034)
Ge (0.410, 0.250, 0.534)
Ge (0.590, 0.750, 0.466)
Ge (0.910, 0.250, 0.966)

----------

1.
This record from Alexandria via LeMat-Bulk describes an optimized crystal structure of LaSm2Zn2Ag2. The functional is PBE-GGA.

abc: 4.706 4.706 9.562
angles: 75.75 75.75 60.00
Atoms (fractional coordinates):
La 0.000 0.000 0.000
Sm 0.126 0.126 0.622
Sm 0.874 0.874 0.378
Zn 0.743 0.743 0.771
Zn 0.257 0.257 0.229
Ag 0.596 0.596 0.212
Ag 0.404 0.404 0.788

Values from the calculation:
As for the space-group type: No. 166. The calculation puts the formation energy at -0.236 eV per atom. The density of states at the Fermi level comes out at 6.40 states/eV/cell.

---

2.
This record from Alexandria via LeMat-Bulk describes an optimized crystal structure of LaSmZnAg. The functional is PBE-GGA.

abc: 3.750 3.750 7.401
angles: 90.00 90.00 90.00
Atoms (fractional coordinates):
La 0.000 0.000 0.848
Sm 0.000 0.000 0.364
Zn 0.500 0.500 0.592
Ag 0.500 0.500 0.124

Values from the calculation:
As for the space-group type: No. 99. The calculation puts the formation energy at -0.295 eV per atom. The density of states at the Fermi level comes out at 4.01 states/eV/cell.

---

3.
This record from Alexandria via LeMat-Bulk describes an optimized crystal structure of La2SmZn2Ag2. The functional is PBE-GGA.

abc: 4.714 4.714 9.608
angles: 75.80 75.80 60.00
Atoms (fractional coordinates):
La 0.123 0.123 0.630
La 0.877 0.877 0.370
Sm 0.000 0.000 0.000
Zn 0.732 0.732 0.803
Zn 0.268 0.268 0.197
Ag 0.607 0.607 0.179
Ag 0.393 0.393 0.821

Values from the calculation:
As for the space-group type: No. 166. The calculation puts the formation energy at -0.242 eV per atom. The density of states at the Fermi level comes out at 6.77 states/eV/cell.

---

4.
This record from Alexandria via LeMat-Bulk describes an optimized crystal structure of LaSmZnAg. The functional is PBE-GGA.

abc: 5.297 5.297 5.297
angles: 60.00 60.00 60.00
Atoms (fractional coordinates):
Zn 0.750 0.750 0.750
Ag 0.250 0.250 0.250
Sm 0.000 0.000 0.000
La 0.500 0.500 0.500

Values from the calculation:
As for the space-group type: No. 216. The calculation puts the formation energy at -0.277 eV per atom. The density of states at the Fermi level comes out at 3.71 states/eV/cell.
........
**To do**
Please type out the whole of the notes above unchanged.
**Reply**
Below is a relaxed structure of NaInGe, with properties calculated at the PBE level.

Formation energy, meV per atom: 5.8
Crystal system: orthorhombic
DFT total energy, eV per atom: -2.886
Magnetization, μB per formula unit: 0.000
DOS(E_F), states/eV per cell: 3.4
Symmetry: Pnma, No. 62

Cell lengths 11.032, 6.773, 4.215 Å; angles 90.00, 90.00, 90.00 degrees
Positions (direct):
Na (0.203, 0.250, 0.023)
Na (0.297, 0.750, 0.523)
Na (0.703, 0.250, 0.477)
Na (0.797, 0.750, 0.977)
In (0.000, 0.000, 0.500)
In (0.000, 0.500, 0.500)
In (0.500, 0.000, 0.000)
In (0.500, 0.500, 0.000)
Ge (0.090, 0.750, 0.034)
Ge (0.410, 0.250, 0.534)
Ge (0.590, 0.750, 0.466)
Ge (0.910, 0.250, 0.966)

----------

1.
This record from Alexandria via LeMat-Bulk describes an optimized crystal structure of LaSm2Zn2Ag2. The functional is PBE-GGA.

abc: 4.706 4.706 9.562
angles: 75.75 75.75 60.00
Atoms (fractional coordinates):
La 0.000 0.000 0.000
Sm 0.126 0.126 0.622
Sm 0.874 0.874 0.378
Zn 0.743 0.743 0.771
Zn 0.257 0.257 0.229
Ag 0.596 0.596 0.212
Ag 0.404 0.404 0.788

Values from the calculation:
As for the space-group type: No. 166. The calculation puts the formation energy at -0.236 eV per atom. The density of states at the Fermi level comes out at 6.40 states/eV/cell.

---

2.
This record from Alexandria via LeMat-Bulk describes an optimized crystal structure of LaSmZnAg. The functional is PBE-GGA.

abc: 3.750 3.750 7.401
angles: 90.00 90.00 90.00
Atoms (fractional coordinates):
La 0.000 0.000 0.848
Sm 0.000 0.000 0.364
Zn 0.500 0.500 0.592
Ag 0.500 0.500 0.124

Values from the calculation:
As for the space-group type: No. 99. The calculation puts the formation energy at -0.295 eV per atom. The density of states at the Fermi level comes out at 4.01 states/eV/cell.

---

3.
This record from Alexandria via LeMat-Bulk describes an optimized crystal structure of La2SmZn2Ag2. The functional is PBE-GGA.

abc: 4.714 4.714 9.608
angles: 75.80 75.80 60.00
Atoms (fractional coordinates):
La 0.123 0.123 0.630
La 0.877 0.877 0.370
Sm 0.000 0.000 0.000
Zn 0.732 0.732 0.803
Zn 0.268 0.268 0.197
Ag 0.607 0.607 0.179
Ag 0.393 0.393 0.821

Values from the calculation:
As for the space-group type: No. 166. The calculation puts the formation energy at -0.242 eV per atom. The density of states at the Fermi level comes out at 6.77 states/eV/cell.

---

4.
This record from Alexandria via LeMat-Bulk describes an optimized crystal structure of LaSmZnAg. The functional is PBE-GGA.

abc: 5.297 5.297 5.297
angles: 60.00 60.00 60.00
Atoms (fractional coordinates):
Zn 0.750 0.750 0.750
Ag 0.250 0.250 0.250
Sm 0.000 0.000 0.000
La 0.500 0.500 0.500

Values from the calculation:
As for the space-group type: No. 216. The calculation puts the formation energy at -0.277 eV per atom. The density of states at the Fermi level comes out at 3.71 states/eV/cell.